Brief:
Your job: quote the calculation results below character by character.

Input:
=====
DFT (ωB97M-V/def2-TZVPD) results for a structure of composition C21H19BrF4O5P2ReS.

The LUMO energy (spin up / spin down) comes out at -6.3 / -6.3 eV. The orbital gap (spin up / spin down) comes out at 8.138 / 7.619 eV. The total energy is -5319.930478 hartree.

Geometry as ORCA input:
```
! RIJCOSX wB97M-V def2-TZVPD def2/J DEFGRID3
* xyz 2 4
Re -1.48878 -2.68924 0.65995
F -1.90220 6.99345 0.71354
C -1.32975 5.82181 0.58583
C -0.03815 5.62292 1.03273
F 0.64625 6.60625 1.58108
C 0.54128 4.37412 0.88126
F 1.81333 4.24473 1.26189
C -0.14073 3.29545 0.32082
P 0.78511 1.76301 0.18099
C 1.72906 1.42071 1.63026
C 2.85013 0.59238 1.51508
C 3.54329 0.22520 2.65409
C 3.11790 0.67330 3.89817
C 1.99719 1.48755 4.01511
C 1.29686 1.86429 2.88506
C 1.71503 1.70273 -1.31809
C 2.95587 2.34739 -1.32803
C 3.66574 2.42690 -2.51330
C 3.13865 1.87676 -3.67483
C 1.90114 1.24530 -3.66179
C 1.17737 1.15818 -2.48541
C -1.43021 3.53502 -0.18933
Br -2.43774 2.27862 -1.15803
C -2.01238 4.77702 -0.03429
F -3.22817 5.01740 -0.48931
H 3.18311 0.24651 0.54454
H 4.41812 -0.40474 2.57266
H 3.66668 0.38905 4.78616
H 1.67345 1.83208 4.98730
H 0.42274 2.49509 2.97921
H 3.36598 2.77876 -0.42276
H 4.62898 2.91748 -2.52958
H 3.69663 1.94337 -4.59912
H 1.49813 0.82442 -4.57252
H 0.20870 0.67700 -2.47683
O -1.67428 1.08772 1.87552
S -1.26103 -0.01915 1.11223
O -0.55874 -1.14447 1.78483
O -0.25851 0.50150 -0.01643
O -2.28037 -0.79340 0.32090
C -3.69482 -6.18335 0.45858
P -2.54880 -5.53088 -0.74259
C -1.54968 -6.85696 -1.38830
C -3.44569 -4.75204 -2.07221
O -1.60438 -4.48703 -0.05992
H -4.32389 -6.93895 -0.01509
H -4.33086 -5.38900 0.84998
H -3.14473 -6.64229 1.28033
H -2.20461 -7.59580 -1.85342
H -0.99084 -7.33425 -0.58348
H -0.85138 -6.47789 -2.13394
H -4.11126 -5.49202 -2.52101
H -2.75231 -4.39129 -2.83169
H -4.04242 -3.92076 -1.69677
*
```



DFT (ωB97M-V/def2-TZVPD) results for a structure of composition C21H19BrI2MnN2O2 at a distorted geometry.

The LUMO energy (spin up / spin down) comes out at 3.8 / 3.8 eV. The orbital gap (spin up / spin down) comes out at 4.794 / 3.796 eV. The total energy is -5392.022626 hartree.

Geometry as ORCA input:
```
! RIJCOSX wB97M-V def2-TZVPD def2/J DEFGRID3
* xyz -2 2
Mn -1.60271 -1.23433 -0.35787
C 0.41302 1.53880 -0.84306
N -0.91953 0.96192 -0.76125
C -1.89895 1.71664 -1.09741
C -3.22507 1.21947 -1.13377
C -4.44414 1.88299 -1.35357
C -5.42250 0.88947 -1.25090
C -4.72786 -0.31376 -0.98196
N -3.41124 -0.11520 -0.92270
C 0.92285 2.10137 0.47272
C 1.63282 3.29841 0.50260
C 2.12033 3.81605 1.69914
C 1.88964 3.13848 2.88844
C 1.17282 1.94589 2.86745
C 0.69637 1.42692 1.67218
H 0.45537 2.33648 -1.59561
H 1.09324 0.75535 -1.18224
H -1.72398 2.75844 -1.39572
H -4.58111 2.94209 -1.52947
H -6.49400 1.00711 -1.34488
H -5.13864 -1.30690 -0.85716
H 1.80341 3.83501 -0.42578
H 2.67017 4.75102 1.70132
H 2.25469 3.54269 3.82621
H 0.96879 1.41416 3.78996
H 0.13616 0.50145 1.66716
I -2.68622 -0.16412 2.80911
C -2.67769 -1.80711 1.30775
I -4.09006 -4.05173 -1.35225
H -3.74734 -1.99255 1.19848
H -2.23988 -2.62165 1.89210
Br 5.62047 -1.08393 -2.91605
C 4.56589 -1.49781 -1.37429
C 5.21482 -1.83663 -0.20541
C 4.44480 -2.12716 0.90899
C 3.05566 -2.07003 0.84025
C 2.42983 -1.73422 -0.34476
C 3.18404 -1.44673 -1.46559
C 0.91025 -1.64518 -0.41557
O 0.27500 -1.65737 0.66204
O 0.36869 -1.54177 -1.52834
H 6.29524 -1.86932 -0.16661
H 4.93496 -2.39142 1.83895
H 2.42862 -2.27013 1.70064
H 2.67450 -1.19477 -2.38623
C -2.13114 -3.04174 -1.42045
H -1.47126 -3.86985 -1.14033
H -1.99916 -2.89483 -2.49625
*
```



DFT (ωB97M-V/def2-TZVPD) results for a structure of composition C21H19Cl2FeN4O5P.

The LUMO energy (spin up / spin down) comes out at -0.9 / -1.3 eV. The orbital gap (spin up / spin down) comes out at 4.536 / 6.525 eV. The total energy is -3932.384177 hartree.

Geometry as ORCA input:
```
! RIJCOSX wB97M-V def2-TZVPD def2/J DEFGRID3
* xyz 0 5
Fe -1.01478 0.21429 0.09689
Cl -0.94701 -3.36375 -5.60342
C -1.01868 -2.92948 -3.93045
C -1.05857 -1.58644 -3.59748
=====

Solution:
DFT (ωB97M-V/def2-TZVPD) results for a structure of composition C21H19BrF4O5P2ReS.

The LUMO energy (spin up / spin down) comes out at -6.3 / -6.3 eV. The orbital gap (spin up / spin down) comes out at 8.138 / 7.619 eV. The total energy is -5319.930478 hartree.

Geometry as ORCA input:
```
! RIJCOSX wB97M-V def2-TZVPD def2/J DEFGRID3
* xyz 2 4
Re -1.48878 -2.68924 0.65995
F -1.90220 6.99345 0.71354
C -1.32975 5.82181 0.58583
C -0.03815 5.62292 1.03273
F 0.64625 6.60625 1.58108
C 0.54128 4.37412 0.88126
F 1.81333 4.24473 1.26189
C -0.14073 3.29545 0.32082
P 0.78511 1.76301 0.18099
C 1.72906 1.42071 1.63026
C 2.85013 0.59238 1.51508
C 3.54329 0.22520 2.65409
C 3.11790 0.67330 3.89817
C 1.99719 1.48755 4.01511
C 1.29686 1.86429 2.88506
C 1.71503 1.70273 -1.31809
C 2.95587 2.34739 -1.32803
C 3.66574 2.42690 -2.51330
C 3.13865 1.87676 -3.67483
C 1.90114 1.24530 -3.66179
C 1.17737 1.15818 -2.48541
C -1.43021 3.53502 -0.18933
Br -2.43774 2.27862 -1.15803
C -2.01238 4.77702 -0.03429
F -3.22817 5.01740 -0.48931
H 3.18311 0.24651 0.54454
H 4.41812 -0.40474 2.57266
H 3.66668 0.38905 4.78616
H 1.67345 1.83208 4.98730
H 0.42274 2.49509 2.97921
H 3.36598 2.77876 -0.42276
H 4.62898 2.91748 -2.52958
H 3.69663 1.94337 -4.59912
H 1.49813 0.82442 -4.57252
H 0.20870 0.67700 -2.47683
O -1.67428 1.08772 1.87552
S -1.26103 -0.01915 1.11223
O -0.55874 -1.14447 1.78483
O -0.25851 0.50150 -0.01643
O -2.28037 -0.79340 0.32090
C -3.69482 -6.18335 0.45858
P -2.54880 -5.53088 -0.74259
C -1.54968 -6.85696 -1.38830
C -3.44569 -4.75204 -2.07221
O -1.60438 -4.48703 -0.05992
H -4.32389 -6.93895 -0.01509
H -4.33086 -5.38900 0.84998
H -3.14473 -6.64229 1.28033
H -2.20461 -7.59580 -1.85342
H -0.99084 -7.33425 -0.58348
H -0.85138 -6.47789 -2.13394
H -4.11126 -5.49202 -2.52101
H -2.75231 -4.39129 -2.83169
H -4.04242 -3.92076 -1.69677
*
```



DFT (ωB97M-V/def2-TZVPD) results for a structure of composition C21H19BrI2MnN2O2 at a distorted geometry.

The LUMO energy (spin up / spin down) comes out at 3.8 / 3.8 eV. The orbital gap (spin up / spin down) comes out at 4.794 / 3.796 eV. The total energy is -5392.022626 hartree.

Geometry as ORCA input:
```
! RIJCOSX wB97M-V def2-TZVPD def2/J DEFGRID3
* xyz -2 2
Mn -1.60271 -1.23433 -0.35787
C 0.41302 1.53880 -0.84306
N -0.91953 0.96192 -0.76125
C -1.89895 1.71664 -1.09741
C -3.22507 1.21947 -1.13377
C -4.44414 1.88299 -1.35357
C -5.42250 0.88947 -1.25090
C -4.72786 -0.31376 -0.98196
N -3.41124 -0.11520 -0.92270
C 0.92285 2.10137 0.47272
C 1.63282 3.29841 0.50260
C 2.12033 3.81605 1.69914
C 1.88964 3.13848 2.88844
C 1.17282 1.94589 2.86745
C 0.69637 1.42692 1.67218
H 0.45537 2.33648 -1.59561
H 1.09324 0.75535 -1.18224
H -1.72398 2.75844 -1.39572
H -4.58111 2.94209 -1.52947
H -6.49400 1.00711 -1.34488
H -5.13864 -1.30690 -0.85716
H 1.80341 3.83501 -0.42578
H 2.67017 4.75102 1.70132
H 2.25469 3.54269 3.82621
H 0.96879 1.41416 3.78996
H 0.13616 0.50145 1.66716
I -2.68622 -0.16412 2.80911
C -2.67769 -1.80711 1.30775
I -4.09006 -4.05173 -1.35225
H -3.74734 -1.99255 1.19848
H -2.23988 -2.62165 1.89210
Br 5.62047 -1.08393 -2.91605
C 4.56589 -1.49781 -1.37429
C 5.21482 -1.83663 -0.20541
C 4.44480 -2.12716 0.90899
C 3.05566 -2.07003 0.84025
C 2.42983 -1.73422 -0.34476
C 3.18404 -1.44673 -1.46559
C 0.91025 -1.64518 -0.41557
O 0.27500 -1.65737 0.66204
O 0.36869 -1.54177 -1.52834
H 6.29524 -1.86932 -0.16661
H 4.93496 -2.39142 1.83895
H 2.42862 -2.27013 1.70064
H 2.67450 -1.19477 -2.38623
C -2.13114 -3.04174 -1.42045
H -1.47126 -3.86985 -1.14033
H -1.99916 -2.89483 -2.49625
*
```



DFT (ωB97M-V/def2-TZVPD) results for a structure of composition C21H19Cl2FeN4O5P.

The LUMO energy (spin up / spin down) comes out at -0.9 / -1.3 eV. The orbital gap (spin up / spin down) comes out at 4.536 / 6.525 eV. The total energy is -3932.384177 hartree.

Geometry as ORCA input:
```
! RIJCOSX wB97M-V def2-TZVPD def2/J DEFGRID3
* xyz 0 5
Fe -1.01478 0.21429 0.09689
Cl -0.94701 -3.36375 -5.60342
C -1.01868 -2.92948 -3.93045
C -1.05857 -1.58644 -3.59748